BME 595 - Biomedical Signal Processing Fall Course

July 17, 2017

Biomedical Signal Processing
BME 595 - Fall 2017
Registration: Biomedical Signal Processing
12890 - BME 59500 - MJ4 (or)
13563 - BME 59500 - EP5 (Distance Learning)
Time: MWF 12:30 pm { 1:20 pm
Location: MJIS 1083
Credits: 3
Instructor: Hari M. Bharadwaj, Ph.D.
Assistant Professor of Biomedical Engineering
Assistant Professor of Speech, Language, & Hearing Sciences
Oce: LYLE 3162
Oce Hours: TBD in LYLE 3162
Description: An introduction to the application of digital signal processing and statisti-
cal techniques to practical problems involving biomedical signals and sys-
tems. Topics include: overview of biomedical signals; Fourier/Z-transforms
review and lter design, linear-algebraic view of ltering for artifact removal
and noise suppression (e.g., noise cancellation, PCA and other signal-space-
projection methods) for univariate and multivariate measurements (e.g.,
multichannel electrophysiology, fMRI); time-domain analysis and statisti-
cal inference on signal features (e.g., ECG signals associated with cardiac
anomalies, event-related brain responses); frequency-domain characteriza-
tion of signals and systems; modeling biomedical time series (e.g., AR mod-
els) and systems (e.g., deconvolution), and model-based ltering (e.g., EEG
inverse-problem, brain-computer-interface); analysis of non-stationary sig-
nals; pattern classi cation and diagnostic decisions. A \hands-on" approach
is taken throughout the course (see section on required software).
Course Outcomes: 1. Understand practical problems in objective analyses of biomedical signals.
2. Understand the theoretical background underlying the use of digital signal
processing techniques for biomedical applications.
3. Understand the practical bene ts and limitations of various digital signal
processing approaches and identify the best solution for speci c problems.
4. Implement appropriate signal processing algorithms for practical prob-
lems involving biomedical signals and systems.
5. Propose, carry out, orally present, and write up in conference-proceedings
format, a biomedical-research mini project using signal-processing.
Learning Strategies: In-class lectures and discussions; Hand-solved and computer-programmed
problem sets; Research-oriented prede ned midterm project; Self-designed
nal research project
Prerequisites: ECE 301 or equivalent (Signals and Systems), ECE 302 or equivalent
(Probability and Random Processes), Familiarity with either MATLAB™ or
Python™. If you are concerned about whether you have the requisite back-
ground, feel free to get in touch me in advance, or within the rst week of
Textbook: Rangayyan, R. M. (2015). Biomedical signal analysis (2nd Edition). Wiley-
IEEE Press. ISBN: 0470911396 (Online ISBN 1119068129). [Online access
available through Purdue Libraries]
References: 1. Moon, T. K., & Stirling, W. C. (2000). Mathematical methods and algo-
rithms for signal processing. Prentice hall. ISBN: 0201361868.
2. Brillinger, D. R. (2001). Time series: data analysis and theory. Society
for Industrial and Applied Mathematics. ISBN: 0898719240.
3. Mitra, P., & Bokil, H. (2008). Observed brain dynamics. Oxford Univer-
sity Press. ISBN: 0195178084.
4. Oppenheim, A. V., Schafer, R. W., & Buck J. R. (1999). Discrete-Time
Signal Processing (2nd Edition). Prentice Hall. ISBN: 0072817259.
Required Software: 1. MATLAB™ ( R2014a) or Python™ (2.7.x) { Pick either
2. Any software to typeset PDF documents (e.g., Microsoft Word™ ! con-
vert/print to PDF, or LATEX)
3. For distance learning students only: Software and equipment to shoot an
unedited 12 min long digital video in a suitable environment for the oral
presentation of the nal project (e.g., using a smartphone).
Blackboard: Materials and grades for the course will be posted on Blackboard. Besides
instructor-posted material, one component of Blackboard that will be use-
ful is the Online Discussion Board. Students are encouraged to use and
contribute to (i.e., post response if you know the answer to \how to"-type
questions) this resource for sharing general and speci c MATLAB/Python
knowledge across the class. However, please note: no sharing of code blocks
or explicit solutions to homework sets (See note on collaboration below).
Also, online fora such as Signal Processing Stack Exchange may already
have answers to questions that typically come up. However, note that it
is possible for online resources to have erroneous information. Learning to
evaluate and use crowd-sourced online references is an important skill in the
modern-day signal processing practitioner's repertoire.
Final Grade
Assessment Item Weight
Problem Sets (6) 45%
Midterm (group or individual) project 20%
Final (individual) research project:
- Content 15%
- Oral presentation 10%
- Written presentation 10%
Final Project: ( nal 5 weeks) An independent project will apply signal processing to a
research question of interest to each student. This project can either be
related to ongoing research in a lab or can replicate a published study. The
nal projects are intended to be extensive as they will hopefully be in an area
of direct interest and familiarity to each student. Projects will be presented
to the class during the nal two weeks of the semester (modeled after a 15-
min \presentation + questions" conference talk) and will be written up in
a nal report (modeled after a conference proceedings paper, 6-10 pages).
Grading is based on content, oral presentation, and written presentation.
Note: content is judged based on what you accomplish by submission of
your written report, i.e., you are welcome to keep working after your oral
presentation and include a more complete version in your written report.
Access to MATLAB: It is the responsibility of each student working with MATLAB to nd a
reliable computing environment in which to do the work for this course.
This should be worked out within the rst week of class. MATLAB should
be available on all ITAP machines on campus, as well as via the remote Citrix
server. MATLAB tutorials will be posted on Blackboard. Oce hours and
the Online Discussions are available to supplement your existing familiarity
with MATLAB.
Access to Python: It is the responsibility of each student working with Python to nd a reliable
computing environment in which to do the work for this course. This should
be worked out within the rst week of class. Please use Python 2.7 and
associated scienti c modules (mainly NumPy, SciPy, matplotlib, pandas,
and scikit-learn) from the Anaconda distribution. Excellent online tutorials
are available for scienti c Python. Oce hours and the Online Discussions
are available to supplement your existing familiarity with Python.
Academic integrity
& Collaboration: See { \Purdue Univer-
Unrelated to this page: molecular data.
<<<
No. 1
Here is a structure of composition C37H30BClF9N5O3PbSe from OMol25. Energies are from ωB97M-V/def2-TZVPD.

HOMO-LUMO gap (eV): 6.238
ΔE to the lowest compared entry with this formula, charge and spin (kJ/mol): 110.93
Net charge: 0
E_HOMO (eV): -7.7
Multiplicity: 1
LUMO (eV): -1.51

Each line ends with the Löwdin charge.
Positions of all 88 atoms, in Å:
Pb (-0.77121, 0.72475, 0.21124)  1.3941
C (-2.24216, 2.35962, 3.70717)  -0.0726
O (-1.50895, 1.28573, 3.13996)  -0.1725
C (-0.32603, 0.96434, 3.75249)  -0.3278
C (0.16298, 1.59418, 4.88704)  -0.0339
C (1.41640, 1.24612, 5.37598)  -0.0754
C (2.18085, 0.28127, 4.74052)  -0.0760
C (1.68593, -0.35676, 3.61366)  -0.0203
C (0.43356, -0.02677, 3.12450)  -0.2612
N (-0.11929, -0.64694, 1.97071)  -0.0473
N (0.15241, -1.89021, 1.89235)  0.1304
C (-0.35007, -2.69324, 0.95137)  -0.1634
C (-1.47622, -2.34412, 0.13999)  -0.3297
O (-2.04733, -1.21784, 0.21380)  -0.1111
C (-2.01338, -3.35714, -0.73845)  0.0173
C (-1.45453, -4.57858, -0.81992)  0.0012
C (-0.32507, -4.96253, -0.01217)  -0.1824
C (0.24759, -6.23835, -0.12718)  -0.0388
C (1.32039, -6.60008, 0.65349)  -0.0885
C (1.83970, -5.68348, 1.57527)  -0.0790
C (1.30031, -4.42212, 1.69339)  -0.0392
C (0.20861, -4.03545, 0.89929)  -0.1274
H (-2.55013, 2.12765, 4.72861)  0.1035
H (-3.12647, 2.48818, 3.09024)  0.0747
H (-1.65598, 3.28205, 3.69694)  0.0953
H (-0.41068, 2.36022, 5.38689)  0.1061
H (1.79464, 1.74539, 6.25839)  0.1055
H (3.16265, 0.02698, 5.11687)  0.1046
H (2.26707, -1.09538, 3.07817)  0.0916
H (-2.85871, -3.06392, -1.34739)  0.1212
H (-1.85320, -5.31149, -1.51272)  0.1195
H (-0.17148, -6.93623, -0.84266)  0.1121
H (1.75728, -7.58547, 0.56013)  0.1005
H (2.67930, -5.96520, 2.19819)  0.1039
H (1.71742, -3.70986, 2.39159)  0.1038
C (2.33512, -3.07865, -1.25074)  -0.0311
C (2.81030, -2.13166, -0.24957)  -0.2482
N (3.17354, -1.38218, 0.54097)  0.1774
H (2.49897, -4.09741, -0.90203)  0.0825
H (2.86051, -2.91980, -2.19135)  0.0946
H (1.26669, -2.92420, -1.40064)  0.0727
Cl (-3.15252, 0.39202, -2.75090)  0.8362
C (-4.17893, 0.22962, -1.37108)  -0.5952
C (-5.26291, -0.62873, -1.42783)  -0.0974
C (-6.04390, -0.81989, -0.29937)  -0.0712
C (-5.73997, -0.15062, 0.87873)  -0.0706
C (-4.65933, 0.71002, 0.91906)  -0.0328
C (-3.86121, 0.92646, -0.20337)  -0.3402
C (-2.70029, 1.82864, -0.14874)  -0.1651
H (-5.47832, -1.14962, -2.35069)  0.1074
H (-6.88731, -1.49641, -0.34028)  0.1058
H (-6.34490, -0.30281, 1.76257)  0.1048
H (-4.41561, 1.22323, 1.84016)  0.0998
H (-2.71856, 2.52815, 0.68487)  0.0630
H (-2.45009, 2.33782, -1.07463)  0.0351
C (3.87473, 2.19474, 0.56528)  -0.0244
N (3.09247, 3.22428, -0.10884)  -0.1188
C (3.54367, 4.03708, -1.11930)  -0.0169
C (2.51162, 4.83228, -1.48031)  -0.0198
N (1.44713, 4.50011, -0.68124)  -0.0977
C (0.15991, 5.18052, -0.70725)  0.0028
C (1.80410, 3.50342, 0.13929)  -0.6236
Se (0.79907, 2.67367, 1.48485)  0.8913
H (4.84849, 2.14974, 0.08499)  0.0998
H (3.38667, 1.22819, 0.48140)  0.0483
H (3.99132, 2.45172, 1.61654)  0.0931
>>>
The page goes on.
sity values intellectual integrity and the highest standards of academic con-
duct. To be prepared to meet societal needs as leaders and role models, stu-
dents must be educated in an ethical learning environment that promotes
a high standard of honor in scholastic work. Academic dishonesty under-
mines institutional integrity and threatens the academic fabric of Purdue
University. Dishonesty is not an acceptable avenue to success. It dimin-
ishes the quality of a Purdue education, which is valued because of Purdue's
high academic standards. Fostering an appreciation for academic standards
and values is a shared responsibility among students, faculty, and sta . The
information on this website is directed to students to de ne academic dis-
honesty and how to avoid it."
The skills to be learned in this class rely on each student doing and under-
standing the assignments themselves. However, collaboration is encouraged
in ways that help to avoid getting stuck with procedural issues or software
quirks (e.g., not knowing the name of a speci c toolbox function, etc.).
However, in no case should solutions, code, or text be copied from another
student. Each student is expected to write their own code, solutions, and
text. Violations of this expectation will result in 0 credit.
Tentative Schedule: Topics will be discussed using representative biomedical examples. The structure
is tentative and will likely evolve depending on student reception.
Date Topic Reading Assignments
Aug 21{25 Background review; Orientation to MATLAB and
Python; Introduction to biomedical signals and systems
Ch 1 & 2
Aug 28 { Sep 01 Filtering and Artifact Suppression I { Averaging; Filter
design & trade-o s
Ch 2 & 3 PS 1 due
Sep 04 Labor Day { No Class
Sep 06 { 08 Filtering and Artifact Suppression II { Filtering beyond
just frequencies (linear algebraic view), noise \cancella-
tion" and regression, optimal ltering
Ch 3
Sep 11 { 15 Filtering and Artifact Suppression III { Multichannel l-
tering, PCA; Additional biomedical examples of ltering
and artifact removal
Sep 18 { 22 Time-domain analysis I { Feature enhancement; Statisti-
cal inference on signal data, ROC curves
Ch 4 PS 2 due
Sep 25 Midterm Project overview { Cochlear Implant simulation
-OR- EEG processing and inference
Sep 27 { 29 Time-domain analysis II { Template based analysis; De-
tecting changes in signal statistics; Relating signal pa-
rameters and physiology
Ch 4 & 5 PS 3 due
Oct 02 { 06 Frequency-domain analysis I { Spectra and correlation
functions of random processes; Spectrum Estimation
Ch 6
Oct 09 October Break { No Class Midterm
project due
Oct 11 { 13 Frequency-domain analysis II { Coherence, phase locking Ch 6
Oct 16 { 20 Modeling of biomedical signals and systems I { Deconvo-
lution; Regularization and model selection
Ch 7 PS 4 due
Oct 23 { 27 Modeling of biomedical signals and systems II { Autore-
gressive models and applications
Ch 7
Oct 30 { Nov 03 Multiple comparisons problem; Non-parametric inference
Nov 06 { 08 Analysis of non-stationary signals; Hilbert transform;
Linear algebraic view of wavelet analysis
Ch 8 PS 5 due
Nov 10 Hari away { No Class Project
plan due
Nov 13 Point processes and spiking data
Nov 15 Deconvolution revisited; Spike- eld coherence
Nov 20 Pattern classi cation and diagnostic decisions I { ROC
curve review; Optimal detectors
Ch 9 PS 6 due
Nov 22 { 24 Thanksgiving { No Class
Nov 27 { Dec 01 Pattern classi cation and diagnostic decisions II { Clus-
tering and \Supervised" learning
Ch 9
Dec 04 Review and consolidation
Dec 06 { 08 No Class { Work on nal project
Dec 11 { 15 Final project presentations during exam week (no exam) Final report
Problem Sets &
Project Submissions: Submitted work will consist of both written and electronic les. All assign-
ments are due by the beginning of class on the due date. Written material
will consist of derived (handwritten) solutions and/or PDF documents with
inserted gures. Hand written work should be handed in at the beginning
of class. Electronic material will consist of your *.PDF le, and any scripts
or functions you have written, as well as any *.mat data les1 you have gen-
erated. The *.PDF le must have a list of every electronic le submitted
with the assignment, with a brief description. Every gure in your *.PDF
le should be generated by the code you submit, i.e., I should be able to
run your code and see your gures appear with no e ort. All electronic les
should be bundled together as one ZIP archive before submitting.
There is a quota of three total late days you can use throughout the semester
to manage unanticipated pressing events that may prevent you from submit-
ting assignments on time. Save and use them judiciously. You can use all
three days for one assignment or spread them over two or three assignments.
Note however that part-day delays (e.g., late by 1 hour) will count as 1
whole day of quota being used up. No submissions will be accepted, even if
you have unused late days, after Dec 15, 2017 (last day of the exam week).
Exceptions will be made to the 3-day rule only in extreme circumstances
(e.g., extended incapacitating medical issue) about which you discuss with
me as soon as reasonably possible, and make alternate arrangements.
Students with
disabilities: Students with disabilities must be registered with Adaptive Programs in
the Oce of the Dean of Students before classroom accommodations can be
provided. If you have a disability that requires academic adjustments, please
make an appointment with me to discuss your needs as soon as possible.
In the event of a major campus emergency, course requirements, deadlines and grading percentages
are subject to changes that may be necessitated by a revised semester calendar. Ways to get information
about changes in this course: Blackboard web page, my email address: Addi-
tional suggestions for best practices in the case of a campus emergency are available at: preparedness/ (e.g., sign-up for emergency text messages).

Contact Details